Bates vs. DHHS Consent Decree Quarterly Report: August 1, 2007

Part 1: Systems Development

of Consent Decree Plan / PAGE / DUE DATE / ACTION
Note: This is a cumulative report. Each action is listed by the filing date of the quarterly report.Onlynew attachments are included. / COMPLETED
YES ( X )
1. Uniform service information on available services in the area provided to consumers / 9 / February 2007 / Nov. 06: OAMHS will draft information for review by each CSN and will have final product by February 07, as well as a method for web based entry to keep information current.
Feb. 07: OAMHS is doing a final review of the information and will post it on the web site in the next quarter, and update annually.
May 2007:The information has been posted on the OAMHS website and is arranged by county, by agency, by service type, and includes contact information. / X April 2007
2. Create training program for peer recovery specialists and certification process / 9 / April2007 full training;
May 2007 Cert. process / Nov. 06: OAMHS has developed the curriculum and completed one training pilot in Jan. 2006, is revamping the curriculum and will offer the 2nd pilot in Jan. 2007. The curriculum will be finalized and the first full six week training offered in April 2007. The certification process will be implemented by May 2007. OAMHS is also developing fidelity measures that will be used on an ongoing basis to provide quality improvement data for peer specialists programs.
== Someone pasted molecular data at this point ==
........
[1]
{"formula": "C7H15N6", "method": "ωB97M-V with the def2-TZVPD basis set", "elements": ["C", "C", "C", "C", "C", "C", "C", "N", "N", "N", "N", "N", "N", "H", "H", "H", "H", "H", "H", "H", "H", "H", "H", "H", "H", "H", "H", "H"], "positions_angstrom": [[-2.70758, -1.15857, -0.63214], [-1.95422, -0.35767, 1.19708], [2.48606, 1.72246, 0.46384], [3.31710, 0.47670, 0.15954], [1.14745, 1.63479, -0.27470], [2.43149, -0.80947, 0.57504], [0.56170, 0.26393, -0.45867], [-1.80479, -1.40176, 0.36016], [-3.39091, -0.04894, -0.22542], [-2.94556, 0.45259, 0.91697], [1.18199, -0.83447, -0.24646], [-4.41904, 0.51281, -0.99143], [0.55952, -2.00500, -0.54521], [-3.01026, -1.55307, -1.67132], [-1.62831, -0.27655, 2.19399], [2.25735, 1.68076, 1.52714], [3.03652, 2.63546, 0.36477], [3.49865, 0.44650, -0.83860], [4.29469, 0.35176, 0.70067], [0.49050, 2.39892, 0.16696], [1.44676, 2.03548, -1.26008], [2.88604, -1.75067, 0.41193], [2.09428, -0.80611, 1.58662], [-0.36091, 0.24890, -1.00640], [-4.95685, 1.21865, -0.51517], [-5.01360, -0.23358, -1.33341], [-0.40833, -1.99005, -0.27753], [0.91027, -2.85380, -0.34816]], "atomic_forces_ev_per_a": [[-0.9, 1.5, 0.5], [-1.1, -0.7, 0.5], [-0.2, -1.7, 1.8], [-0.9, -1.6, 3.7], [1.5, 1.1, -0.1], [0.4, 1.6, -1.6], [0.5, 1.4, -0.8], [-1.0, 0.0, -1.5], [-0.3, -0.7, -1.2], [-0.7, 0.4, -1.1], [-0.1, 0.2, 1.1], [0.4, -0.2, -0.5], [-0.9, 2.7, -1.9], [1.1, 0.0, 2.1], [1.3, -0.2, 0.8], [0.1, 0.1, 0.3], [0.1, 0.6, -0.7], [0.7, -0.4, -3.1], [-1.0, 0.5, -0.4], [-0.4, -0.7, -0.3], [-0.9, -0.4, -0.2], [0.9, -0.8, -0.4], [-0.1, 0.3, 0.9], [-0.3, -0.4, -0.1], [0.2, 0.0, 0.5], [-0.1, 0.1, 0.2], [-1.0, 0.4, 0.4], [2.8, -3.0, 1.1]], "mulliken_charge": [0.059, -0.233, -0.778, -0.680, -0.603, -0.613, -0.117, -0.579, 1.001, -0.747, 0.603, -0.805, -0.918, 0.255, 0.501, 0.317, 0.388, 0.384, 0.343, 0.339, 0.275, 0.411, 0.346, 0.752, 0.297, 0.269, 0.274, 0.258], "charge": 1, "lumo_energy_ha": -0.1237, "orbital_gap_ev": 9.3561, "de_lowest_kcal_mol": 37.1}


[2]
........
Feb. 2007: The January 2007 pilot is underway and 15 people are participating. The next step for participants will be co-supervision and continuing education leading to certification.
May 2007:The pilot training is completed, curriculum changes have been incorporated, and the first “official training” begins in May. Thecertification process is complete. Individuals who have completed previous Intentional Peer Support Specialist training are working on fulfilling the certification requirements. / X April 2007
3. Upon enrollment, DHHS will inform provider of any known service provided to consumer / 12 / NA / Nov. 06: The current enrollment form asks providers to list the mh services that the consumer is receiving. This information is sufficient for providers to determine the array of consumer services and redundancy has not been an issue. We recommend dropping this component.
May 2007: OAMHS will submit a request for a plan amendment in the next quarter.
August 2007: Amendment request submitted to delete this requirement.
4. Data entered in EIS for Class members not in services who request service / 12 / ongoing / Nov. 06: The CDCs have refined the process for both tracking service requests from class members not in services as well as tracking unmet needs through EIS. The next quarterly report will include the final protocol and the unmet needs standards will include the data entered into EIS.
Feb. 07: Attachment Feb 07-1 is the protocol that we have implemented to track unmet needs for class members not in service.
May 2007:Unmet needs data regarding class members not in service who contact a Consent Decree Coordinator is now being reported through the EIS/RDS.With an ongoing system now in place, DHHS will no longer update thisitem. / X January2007 Protocol complete
X April 2007 Process in place for ongoing review
5. Generate unmet needs reports, aggregate and analyze to determine need for resources / 17 / March 2007 / Nov. 06: Collection of data and the generation of reports of unmet needs have begun. See “Performance and Quality Improvement Standards: Oct. 06” for beginning information. By March 07, OAMHS will have a protocol for analyzing the reports and will have begun report review by the CSNs.
Feb. 07:OAMHS is continuing to improve the quality of data both through internal review and by provider training. Contract reviews with providers included discussion of the data submitted for both Enrollment and the Resource Data Summary, and follow up is being done to addressany inconsistencies. The CSNs reviewed the unmet needs reports at the December meetings by CSN and by statewide totals. See Attachment –Feb 07-2 for a sample of the reports. The next step is to analyze these reports along with other data sources to identify resource gaps by CSN.
May 2007: OAMHS is currently generatingand using aggregate unmet needs data while continuing totrain providers in an effortto improve the quality of the data. A manual and a Power Point presentation are available in hard copy and posted on the website, regional trainings using a train the trainer model have been held, and on site training visits occur when requested. OAMHS will be developing monthlyinteractive web based training for both new providers and as a refresher. Providers will receive the unmet needs data that they generated for review as part of a quality assurance process starting next quarter. The quality assurance process is showing that EIS is generating cumulative reports of unmet needs and not closing those that have been met within 90 days. This reporting problem was just discovered and will be fixed in May. The protocol for analyzing the reports has not been completed but will be done in the next quarter. OAMHS will be using the unmet needs data, along with other sources, as part of the preparationfor the FY 2008 Supplemental budget.
August 2007: OAMHS generates aggregate unmet needs reports and analyzes them to determine unmet resource needs. A protocol for ongoing analysis has not yet been completed and will be included in the next quarterly report. / X July 2007
Community Services Networks
6. Issue amendments to provider contracts within one week of approval of this plan / 22 / October 20, 2006 / Nov. 06: Contract packages were mailed to 86 providers on Oct.19, 2006 and the remaining 5 were mailed on October 20, 2006. See attachment 1 for the contract package. / X October 2006
7. Execute contract amendments within 30 days of issuance / 24 / November1, 2006 / Nov. 06: OAMHS has developed a log to track the return of the amendments and a method for follow up.
Feb. 07: Of the 91 amendments, one has been exempted, 81 have been signed for a return rate of 90%, with 9 overdue.The nine remaining amendments are primarily from individual service provides with less that 20 clients. Mental Health Team Leaders are doing follow up with these individuals to determine if exemption from CSN participation is appropriate.
May 2007:OAMHS sent letters to providers notifying them that contract allocations for FY 08 are being held untiltheir amendments
Unrelated to this page: data records.
~~~
1.
Computed, not measured: C29H26Cl2N2O9OsS3Se as an isolated structure, with ωB97M-V/def2-TZVPD.

Output
Total charge: 0
Multiplicity: 5
Highest occupied orbital energy (spin up / spin down) (eV): -6.9145 / -7.4682
Energy above the lowest of the compared OMol25 structures with the same formula, charge and spin (kcal per mole): 30.6
Lowest unoccupied orbital energy (spin up / spin down) (eV): -0.4 / -4.3

Structure (XYZ):
```
73
Properties=species:S:1:pos:R:3:lowdin_spin:R:1
Os -0.349 -0.837 0.286 2.351
O 0.157 -1.102 4.060 0.003
S -0.457 -0.489 2.931 0.007
O 0.482 0.213 2.045 0.021
O -1.206 -1.457 2.041 0.055
C -1.786 0.503 3.591 0.000
C -2.506 -0.120 4.604 0.000
C -3.663 0.466 5.087 0.000
C -4.090 1.686 4.581 0.000
C -3.371 2.307 3.574 0.000
C -2.220 1.716 3.075 0.000
S -1.467 2.430 1.624 0.008
O -2.340 3.500 1.203 0.010
O -0.128 2.867 1.942 0.002
O -1.521 1.273 0.673 0.078
H -2.145 -1.064 4.986 0.000
H -4.242 -0.035 5.851 0.000
H -4.995 2.143 4.956 0.000
H -3.684 3.239 3.125 0.000
O 0.307 0.406 -1.191 0.055
S 0.767 1.727 -0.490 0.004
C 2.187 2.094 -1.585 0.001
C 1.580 2.550 -2.898 0.000
C 0.508 3.567 -2.513 0.000
C -0.261 2.980 -1.332 0.002
H 2.772 1.179 -1.655 0.000
H 2.774 2.877 -1.103 0.000
H 1.113 1.696 -3.391 0.000
H 2.327 2.978 -3.566 0.000
H -0.168 3.764 -3.344 0.000
H 0.970 4.511 -2.219 0.000
H -1.149 2.426 -1.628 0.000
H -0.548 3.706 -0.577 0.000
Se -1.637 -2.127 -1.136 0.186
C -0.689 -2.322 -2.804 0.014
C -1.374 -2.752 -3.934 0.014
C -0.667 -2.886 -5.118 -0.002
N 0.631 -2.630 -5.226 0.015
C 1.278 -2.221 -4.141 -0.001
C 0.671 -2.051 -2.905 0.014
H -2.430 -2.974 -3.873 0.000
H -1.159 -3.217 -6.024 -0.001
H 2.336 -2.029 -4.274 0.000
H 1.235 -1.719 -2.044 0.001
Cl 3.544 1.034 3.452 0.009
C 5.272 0.938 3.406 0.039
C 6.020 2.066 3.705 -0.006
C 7.396 2.061 3.582 0.041
C 8.048 0.928 3.128 -0.005
C 7.303 -0.198 2.833 0.037
Cl 8.115 -1.626 2.276 0.013
C 5.909 -0.244 2.987 0.016
N 5.236 -1.424 2.672 0.283
C 4.232 -2.062 3.411 0.128
C 4.159 -1.878 4.797 0.075
C 3.235 -2.565 5.554 0.031
C 2.363 -3.459 4.946 0.155
C 2.436 -3.662 3.583 -0.012
C 3.350 -2.970 2.792 0.128
C 3.275 -3.122 1.290 0.026
C 2.041 -2.351 0.730 0.021
O 0.917 -2.901 0.851 0.096
O 2.203 -1.246 0.162 0.071
H 5.504 2.957 4.033 -0.001
H 7.968 2.945 3.825 0.002
H 9.122 0.906 3.015 -0.001
H 5.567 -1.895 1.849 0.003
H 4.850 -1.190 5.266 0.001
H 3.178 -2.396 6.621 0.000
H 1.622 -3.979 5.538 0.007
H 1.736 -4.331 3.100 -0.002
H 3.099 -4.166 1.032 0.004
H 4.162 -2.740 0.789 0.002
```


2.
Computed, not measured: C16H16F6N4O11S2Ta as an isolated structure, with ωB97M-V/def2-TZVPD.

Output
Total charge: +1
Highest occupied orbital energy (eV): -13.1355
Lowest unoccupied orbital energy (eV): -4.2

Structure (XYZ):
```
56
Properties=species:S:1:pos:R:3:lowdin_charge:R:1
Ta 0.339 -0.366 -0.076 1.935
O -1.003 2.133 -2.089 0.144
C 0.087 1.628 -2.001 -0.501
O 0.223 0.326 -1.800 -0.194
C 1.390 2.414 -1.955 -0.055
C 2.575 1.438 -2.049 -0.237
C 3.904 2.200 -2.106 -0.061
C 4.077 2.621 -0.633 -0.065
~~~
areexecuted. Of the original 91 amendments, 3 have been exempted, 1 closed, 82 returned, and 5are still outstanding. The return rate thus far is 94%. The remaining agencies will be notified that their contracts will not be renewed for SFY 2008 unless the amendment is returned by May 15, 2007.
August 2007:Hawthorne House was the only provider not to return an amendment for SFY07. The contracts issued for SFY 08 contained the amendment language in the body of the contract. Contract issues have been resolved and OAMHS expects a signed contract for SFY 08 from Hawthorne House. If one is not forthcoming in August, then another provider will be sought. / X July 2007
8. Require a memorandum of understanding (MOU) and operational protocols among participants in each network / 24 / January 3, 2007 / Nov. 06: OAMHS has drafted a sample MOU and included it in the contract amendment packages as well as in the invitations to the November and December Community Service Network (CSN) meetings. See attachment 2 for the complete invitation package.
Feb. 07: The MOU was revised based on CSN input and was mailed December 21, 2006 to 128 providers. There have been 75 signed for a returnrate of 59%, with 53 overdue. The list of providers with overdue MOUs was read at the January CSN meetings, and attending providers agreed to either complete new ones or to provide copies of ones they believe to have submitted. The remaining providers are generally individuals serving small numbers of clients and the mental health team leaders are doing follow up.
May 2007: OAMHS sent letters to providers notifying them that contract allocations for FY 2008 are being held until the MOU is signed and returned. Of the 128 providers, 4 have been exempted, 1 closed, 109 returned, and 14 are outstanding. The return rate thus far is 87%. OAMHS will notify the remaining providers that the SFY 2008 contracts will not be renewed unless the MOU is returned by May 15, 2007.
August 2007: All agencies returned the MOUs except for Hawthorne House. OAMHS expects to receive the MOU from Hawthornein August, or the contract will not be finalized.
9. Assess core services by network area to determine adequate coverage / 24 / October 2006 / Nov. 06: OAMHS has developed a matrix of core services by CSN. See attachment 3. / X October 2006
10. Identify resource gaps, identify remediation, timeframes / 24 / January 15, 2007
Amended to February 9, 2007 / Nov. 06:OAMHS will work with the CSNs to produce this information by January 2007.
Feb. 07: OAMHS got approval from the Court Master to extend the implementation date to February 9, 2007 as OAMHS and the CSNs were continuing to work on this action step. See Attachment Feb 07-3for the procedure OAMHS and the CSNs are using to identify resource needs on an ongoing basis. OAMHS has broadened the review of resource gaps from a one time event to an ongoing process. The Peer Service and Crisis review began at the January CSN meetings and the CSNs will complete their analysis at the February CSN.
May 2007: On March 16th, OAMHS submitted to the Court Master an analysis of current resource gaps by CSN in response to this requirement. The analysis, presented as a matrix, proposed specific remedies for a few of the identified gaps, as well as a process for examination of gaps and development of remedies involving the CSNs. Over the next 6 months according to a specific schedule for each core service area, remedies will be developed as appropriate for identified gaps or potential gaps. Proposed funding needs and resources will be developed concurrent with the planned remedies and timeframes. Since 3/16/07, the matrix that was submittedto the Court Master has been circulated to the CSNs and is being reviewed at each CSN meeting. The CSNs are proceeding to review each service areain accordance with the schedule that OAMHS outlined and will be updating the matrix as new information becomes available.
August 2007: At the request of the Court Master, the Gap Analysis was updated and submitted to him on July 13th. / X March 2007
Initial review done and process for ongoing review established
11. Submit legislative amendment for CSNs and info sharing / 24 / Nov. 06:Draft legislation was submitted in September. See attachment 4. / X September 2006
Realignment of Services
12. Issue contract rider A provisions to require 24/7 coverage by community support services for access to information and execute amendments / 27 / Issue by October 20, 2006;
_Molecular data from another source follow_
********
Run one
Entry from the Open Molecules 2025 dataset: a cluster of 2 separate species, C6H9O2 in total (ωB97M-V with the def2-TZVPD basis set).

As for the charge: -1. The spin multiplicity is 1. For the HOMO-LUMO gap, the calculation gives 0.1409 hartree. The value obtained for the HOMO energy is -2.79 eV.

Element x y z (Å)
H1 1.0476 -0.0730 -1.4747
H2 -1.2352 -1.5075 -1.1370
C1 0.0653 0.2210 -1.0140
H3 1.3195 1.7338 0.9042
H4 -1.3476 -0.6809 0.3185
O1 1.2345 -3.0047 2.2191
C2 -0.6129 -1.0680 -0.3690
H5 0.3812 1.0533 -0.2276
H6 -2.0284 3.0330 -1.5751
O2 1.1335 -0.7048 2.2304
C3 -1.4229 2.2566 -1.1463
C4 0.2223 -2.0504 0.4873
H7 0.2920 -3.0836 0.0668
C5 0.9711 -1.8693 1.6905
H8 -1.0693 2.4922 -0.1166
H9 1.9674 2.1271 0.8795
C6 -0.9180 1.1250 -1.7360

Run two
Entry from the Open Molecules 2025 dataset: a cluster of 2 separate species, C6H9O2 in total (ωB97M-V with the def2-TZVPD basis set).

As for the charge: -1. The spin multiplicity is 1. For the HOMO-LUMO gap, the calculation gives 0.1757 hartree. The value obtained for the HOMO energy is -3.57 eV.

Element x y z (Å)
H1 -0.9420 0.2166 -1.6324
H2 -0.2019 3.1660 0.0953
H3 -0.3960 -0.2711 -1.2176
H4 1.3308 0.3984 1.1451
H5 -0.2556 0.8288 0.8160
O1 -1.2844 -1.3294 2.1602
C1 0.4409 -0.6315 -0.5123
C2 0.6785 0.5845 0.3012
C3 1.2958 1.7194 -0.4823
H6 1.1590 3.8240 -0.7225
H7 -0.5590 -2.5838 -0.5571
C4 -0.1069 -1.9214 0.1030
H8 0.6041 -2.4721 0.7459
O2 -2.4780 -1.9531 0.3339
H9 1.3344 -0.8580 -1.1484
C5 0.7441 2.9511 -0.3712
C6 -1.3637 -1.6684 0.9432

Name the most stable of them. run one.

Run one
Entry from the Open Molecules 2025 dataset: a structure of composition C6H9O2 (ωB97M-V with the def2-TZVPD basis set).

As for the charge: -1. The spin multiplicity is 1. For the HOMO-LUMO gap, the calculation gives 0.1943 hartree. The value obtained for the HOMO energy is -2.59 eV.

Element x y z (Å)
O1 -1.8517 1.3031 1.8777
H1 0.3009 -2.6709 -2.6474
C1 0.6685 -0.9006 -1.4467
C2 0.4083 -2.2797 -1.6473
H2 -0.9552 -0.3362 -0.1293
C3 1.0924 -0.0150 -2.4154
H3 0.1523 -3.2566 1.2650
H4 0.4784 -3.9281 1.3839
H5 0.0670 -2.8393 -0.7866
C4 -0.6830 1.2217 1.4848
C5 -0.4377 0.7244 0.0345
H6 -0.2296 1.4623 -0.7252
C6 0.3841 -0.4699 -0.0564
H7 0.8793 -0.9260 0.7897
H8 1.2743 1.0027 -2.1072
H9 1.4664 -0.4406 -3.3287
O2 0.4033 1.4955 2.0410

Run two
Entry from the Open Molecules 2025 dataset: a cluster of 2 separate species, C6H9O2 in total (ωB97M-V with the def2-TZVPD basis set).

As for the charge: -1. The spin multiplicity is 1. For the HOMO-LUMO gap, the calculation gives 0.2580 hartree. The value obtained for the HOMO energy is -3.90 eV.

Element x y z (Å)
O1 -0.5308 -2.7587 2.2936
C1 -0.4651 -2.5473 1.0504
H1 0.9933 0.3653 1.1195
H2 -1.2079 -0.5789 1.5984
C2 0.2999 2.0681 -0.1015
H3 0.6500 3.6855 -1.5284
C3 0.9116 2.7409 -1.0703
H4 1.7472 2.3570 -1.6489
H5 1.7033 0.3960 -0.4352
O2 0.1145 -3.2206 0.1822
H6 0.3967 -1.3260 -0.7570
C4 0.7241 0.6219 0.0659
H7 -1.1608 1.4462 -0.0147
H8 -0.7433 -0.2010 -1.3433
********
_Back to the piece_
execute by November 19, 2006 / Nov. 06: OAMHS issued the contract amendments to all providers by October 20, 2006. See attachment 1.
Feb. 07: See actionitem #7. / X October 2006 Amendments issued
13. Monitor ongoing compliance with 24/7 access and take corrective action / 27 / December 2006 / Nov. 06:OAMHS will monitor compliance beginning in December 2006.
Feb. 07: OAMHS is reviewing the provision of 24/7 CSS coverage with each provider as part of the contract review process. Region II reviews were conducted in January and Region I and III are being done in February. Each agency is required to either be implementing this requirement or presenting a plan for implementation to OAMHS for approval. The plan includes steps to be taken and a date for implementation.
May 2007: OAMHS reviewed the implementation of 24/7 access with providers as part of the contract reviews in February and March. It became clear that the providers and the OAMHS had different interpretations of the contract requirement and were not in agreement regarding compliance. Accordingly, OAMHS agreed to clarify the requirements for 24/7 access, and to submit it to the CSN Policy Council for review at its April meetingto assure consistency across the state. OAMHS will issue the clarifications in May and require agencies to submit their corrective action plans to show how they will comply no later than July 1, 2007.
August 2007: The Policy and Protocol regarding 24/7 Access to Community Support Service Information was sent to all CSN participants in May, including requirements for implementing the policy and forwarding agency protocols to DHHS/OAMHS within specific timeframes. Data collection began July 1, 2007 and will continue through December 30, 2007. At that time, CSNs will assess the data and review whether it is necessary to continue the data collection.
14. Complete contract w/community hosp. w/involuntary psych. inpatient beds / 27 / November 2006 / Nov. 06: Contract development in process.
Feb. 07: OAMHS and hospital staff who would otherwise have been negotiating contracts have instead been working on CSN development and implementation activities.Therefore, the contracts have not yet been completed. In the meantime, the hospitals have been operating under expired contracts and the UR nurses are still reviewing involuntary admissions. Now that the CSN process is well underway, meetings are being scheduled with the hospitals to negotiate the contracts.
May 2007:The contracts have been prepared and meetings are scheduled for May with the hospitals to finalize the contracts for implementation July 1, 2007.
August 2007: Individual meetings with all the community hospitals with psychiatric units have occurred. Each hospital has the agreement for internal review and comment. Contracts will be completed and signed in August.
15. Issue contract amendments to crisis providers / 27 / October 20, 2006 / Nov. 06: The contract amendments were issued to all providers by Oct. 20, 2006. See attachment 1. / X October2006
16. Amend MaineCare provider agreements with all community hospitals and SpringHarbor and Acadia to require compliance with the CSN MOUs. / 28 / Dec. 2006 / Nov. 06: OAMHS is working with Office of MaineCare Services to issue the provider agreements in November. See attachment 5 for the memo sent to hospitals preparing them for the changes to the provider agreements and for the CSN meetings.
Feb. 07: The provider agreements were issued to 42 hospitals in December 2006 and 10 (24%) have been returned. The Mental Health Team Leaders are contacting providers for follow up and the CSNs are also being informed of returns/overdue documents.
May 2007:OAMHS sent letters to hospitals notifying them that they were out of compliance with the Consent Decree plan and that OAMHS allocations are being held (if they have them) until the OMS provider agreements are signed. A total of 38 agreements were issued (some hospitals are part of a larger group so one agreement was sufficient, accounting for the reduction from 42 to 38). Hospitals have returned 25 agreements, for a total return of 66%. OAMHS will speak with each non responsive hospital in May to resolve concerns, which largely come from hospitals without psychiatric inpatient units as they do not agree that it is a benefit to participating.
August 2007: Three hospitals have not yet signed Provider Agreements: one is currently in negotiations and two small hospitals continue to have questions regarding their need to participate because they do not have inpatient psychiatric units. The Mental Health Team Leader and an OMS representative will contact the two small hospitals in August to reiterate the importance of their participation, the role the ED has in the mental health system, and the MaineCare consequences on nonparticipation.
Performance Requirements
17. Amend contracts with providers to clarify expectations and add progressive steps for remediation. / 28 / October 20, 2006 issue amend-
ments; execute amend-
ments by November 19, 2006 / Nov. 06: Contract amendments have been issued. OAMHS will track the return of the amendments and has a process for follow up. / X October 2006 Issued amendments
18. Review data monthly re: contract performance and Consent Decree requirements at CSN meetings / 28 / Beginning in November2006 / Nov. 06: OAMHS will present the quarterly standards report at the November CSN meeting and the contract compliance template at the December CSN meeting.
Feb. 07: The contract review checklistwas used at the Region II review meetings in January, and will be used at the Region I and III inFebruary. Findings are being presented at the January, February, and March CSN meetings. Common themes will be discussed and follow up, such as training or corrective action, will be implemented both on an individual and group basis as appropriate. The quarterly Consent Decree Report will be reviewed at the February and March CSN meetings for CSN action.
May 2007:The contract review checklist was used in Region I, II, and III contract reviews in February and in March,and findings were presented at CSN meetings over the 3rd quarter.The quarterly consent decree reports are a regular part of the CSN agenda as are the contract performance reports. With an ongoing system now in place, DHHS will no longer update this item. / X November 2006